At Educon this past weekend, I had many amazing conversations with educators, people interested in education reform, wild-eyed evangelists and more. But one of the most telling moments was when Gary Stager asked, “When did idealism become a negative adjective? I tell my grad students- You’re 22- idealistic is exactly what you should be.”
Educon as an “education/technology” conference tends to attract people who are dedicated to making schools all they can be, and others who want to make schools different, but are constantly finding the “Yes, But” in every sentence.
I was left with the impression this weekend that may educators have become real pessimists, and have lost much of their idealism. After hearing story upon story of teachers having success with students from poor homes, from rotten neighborhoods and the like, you could hear someone remark that that case was the exception to the rule. It made me think- How many stories of success and learning in relatively impoverished environments do you need before you decide that these stories are not the outliers and the one offs, but actually evidence that children may have potential, even if the deck is stacked against them.
## Someone pasted records of molecules at this point
- - -
*P*
The following is a quantum chemistry calculation of C5H13N3O as an isolated structure, from the Open Molecules 2025 dataset.

Summary:
HOMO energy	-0.267	Eh
orbital gap	0.2981	hartree
multiplicity	1

CARTESIAN COORDINATES (ANGSTROEM)
C -0.9856 -1.2206 -1.2292
C -0.8324 -1.0226 0.2531
N -2.1548 0.8140 0.3199
N -0.0791 -1.9806 0.9251
N -1.5221 -0.1824 0.9735
H -2.5005 1.4505 1.0369
H -1.1393 1.4732 -0.2219
H -0.1546 -2.9197 0.5624
H -0.1844 -1.9337 1.9288
H -0.1515 -1.7857 -1.6432
H -1.9217 -1.7521 -1.4340
H -1.0506 -0.2726 -1.7516
C 2.0813 0.0750 -0.4358
C 1.0792 0.9146 0.2723
C 0.2758 1.8873 -0.3243
O 1.1931 0.8122 1.6211
H 0.3953 1.1579 2.0442
H 3.0866 0.3776 -0.1249
H 2.0026 0.1863 -1.5144
H 1.9574 -0.9701 -0.1457
H 0.4822 2.0968 -1.3660
H 0.1234 2.7948 0.2538

Quick look at the natural (NBO) charges, all values in e:
1 C -0.70
2 C 0.35
3 N -0.65
4 N -0.83
5 N -0.35
6 H 0.34
7 H 0.33
8 H 0.37
9 H 0.39
10 H 0.21
11 H 0.23
12 H 0.24
13 C -0.69
14 C 0.47
15 C -0.72
16 O -0.68
17 H 0.50
18 H 0.24
19 H 0.22
20 H 0.25
21 H 0.23
22 H 0.23

*Q*
The following is a quantum chemistry calculation of a 2-piece molecular cluster, C5H13N3O overall, from the Open Molecules 2025 dataset.

Summary:
HOMO energy	-0.305	Eh
SMILES	NC(N)=NO.C=C(C)C
orbital gap	0.3330	hartree
multiplicity	1

CARTESIAN COORDINATES (ANGSTROEM)
N 2.5737 -0.4899 0.3094
C 1.7023 0.0757 -0.5767
N 1.4582 1.4272 -0.4440
N 1.1812 -0.5354 -1.5947
O 1.5782 -1.9052 -1.6854
H 2.6665 -0.0806 1.2222
H 2.6362 -1.4958 0.2636
H 1.3500 1.7458 0.5098
H 0.6961 1.7348 -1.0327
H 1.4874 -2.0920 -2.6269
C -1.5654 0.1342 -1.1115
C -1.5230 0.1717 0.1914
C -2.1623 1.1805 1.0877
C -0.6572 -0.9214 1.0556
H -2.1435 0.7909 -1.7406
H -0.7065 -0.4724 -1.6552
H -1.4192 1.6771 1.7115
H -2.6939 1.9332 0.5101
H -2.8655 0.6898 1.7641
H -1.4137 -1.4554 1.6328
H -0.1836 -1.6772 0.4364
H 0.0041 -0.4356 1.7728

Quick look at the natural (NBO) charges, all values in e:
1 N -0.83
2 C 0.54
3 N -0.81
4 N -0.31
5 O -0.62
6 H 0.39
7 H 0.41
8 H 0.37
9 H 0.41
10 H 0.48
11 C -0.46
12 C 0.03
13 C -0.65
14 C -0.65
15 H 0.19
16 H 0.25
17 H 0.20
18 H 0.21
19 H 0.21
20 H 0.21
21 H 0.23
22 H 0.19

Winner for stability: *Q*


# 1
The following is a quantum chemistry calculation of a 8-piece molecular cluster, C20H51FO9S7 overall, from the Open Molecules 2025 dataset.

The LUMO energy comes out at 0.6001 eV. The calculation puts the total energy at -4356.68851 hartree. The value obtained for the highest occupied orbital energy is -8.5 eV.

Each line ends with the Löwdin charge.
Atoms and positions in Å:
H (7.61022, 4.90422, 1.64959)  0.0504
C (-5.53617, 0.31203, -2.33697)  -0.2598
H (-4.66216, 0.30550, -1.68444)  0.0274
S (3.45505, 1.97568, -3.01167)  0.8459
H (5.41574, 3.70176, -8.62515)  0.0496
O (-3.54303, 0.00462, 6.69015)  -0.5740
C (-0.63396, -0.71479, 0.04706)  -0.2377
C (5.48940, 2.63709, -8.40145)  -0.2702
H (0.28609, -6.67187, 4.64849)  0.0476
H (1.43667, -0.84299, -0.58466)  0.1582
H (6.51979, 4.47866, 2.99086)  0.0526
- - -
The problem with this viewpoint, of course, is it doesn’t allow you to give up. It means you have to reach every child, and not just the easy ones, either. It means you can’t write off the disruptive kid, because with the proper teacher or a more interesting project, that kid might really start to blossom. If you can, instead, look at some kids as lost causes and assume that you can’t make a significant difference, you get permission to fail and permission to stop trying.
I learned this weekend the real meaning of “the soft bigotry of low expectations.” Every time someone doesn’t expect a kid to achieve, every time we make a test easier so the passing rate goes up, every time we tell ourselves our school’s test scores are simply the fault of the proportion of ESL kids, or those with IEP’s, we are short selling our kids and their potential. We’re using grade inflation to mask any difficulties and let it masquerade as real progress, because that’s politically expedient. Even if you have kids who don’t seem engaged, does that give you an excuse to stop trying to teach them? Isn’t this just a way to let teachers off the hook from doing the really hard work required?
While programs like “Race to the Top” sound wonderful, a race also implies winners and losers rather than helping all boats to rise to the top. I think we have to stop making education a competition. There’s a competition between teachers and students, where teachers have to exert command and control over kids, and every psych experiment ever done has shown that no one learns well in a coercive environment. The students push back, and there’s a giant tug of war going on where no one actually ever wins or moves forward.
I want teachers and students and parents to be idealistic about education. We have to have high dreams and aspirations. We may fall short of the “perfect goal” but if we never shoot for the target, we have no hope of ever even coming close.
Gary also quoted Seymore Papert, the father of educational computing and founder of the MIT Media Lab, as saying “It’s okay to worry about the work on Monday, as long as it’s also working towards what you need to do someday.” We need to have the wide angle lens as well as the microscope working at all times, and keep an eye on the bigger mission.
The process of changing and improving education is difficult. It’s something I’d love to see IDEO try to tackle, because rather that getting potshots from outside, I think education will only improve when people fully understand the problems from the inside out first. And as long as we keep putting ridiculous pressure on our schools to meet relatively arbitrary standards in an arbitrary period of time, where we measure each classes achievement like a new set of widgets, rather than measuring an individual student’s growth over time, we keep educators locked in Maslowe’s basement, where they are constantly distracted with worry about the “food clothing shelter” aspects of school, and never have the time or the security to have truly higher aspirations of themselves or their students.
I am an idealist about education. We have all the potential in the world. We just have to be willing to harness it, to let go of the substantial fear that exists, and feel free to dream and experiment, and be willing to be wrong and try again, all the while keeping the best interests of the kid’s at heart. It is possible. It can be done. But we have to be willing to be idealists, we have to be willing to be disappointed from time to time, and we have to be willing to dust ourselves off and try again as need be.
But mostly, we have to stop seeing Idealism as a pejorative, and instead, embrace it as the thing we should all aspire to become.